Job:
It remains to copy all of the entries further below without altering anything.
Contents:
=====
# 1
Here is crystalline Na3In3PdO8 at its relaxed geometry from the Alexandria database. Energies are from GGA-PBE.

Cell: 6.6836 6.6836 6.6836 Å, 58.08 58.08 58.08°
With the nearest neighbours (Å) after each atom.
Sites, in units of the cell vectors:
Na 0.0000 0.5000 0.5000  6 O 2.46
Na 0.5000 0.0000 0.5000  6 O 2.46
Na 0.5000 0.5000 0.0000  6 O 2.46
In 0.0000 0.0000 0.5000  6 O 2.21-2.24
In 0.0000 0.5000 0.0000  6 O 2.21-2.24
In 0.5000 0.0000 0.0000  6 O 2.21-2.24
Pd 0.5000 0.5000 0.5000  6 O 2.06
O 0.2375 0.2375 0.2375  3 In 2.21, 3 Na 2.46
O 0.2568 0.7215 0.7215  1 Pd 2.06, 2 In 2.24
O 0.2785 0.2785 0.7432  1 Pd 2.06, 2 In 2.24
O 0.2785 0.7432 0.2785  1 Pd 2.06, 2 In 2.24
O 0.7215 0.2568 0.7215  1 Pd 2.06, 2 In 2.24
O 0.7215 0.7215 0.2568  1 Pd 2.06, 2 In 2.24
O 0.7432 0.2785 0.2785  1 Pd 2.06, 2 In 2.24
O 0.7625 0.7625 0.7625  3 In 2.21, 3 Na 2.46

Computed properties:
Crystal system ... trigonal
ΔE_f (raw) ... -1.415 eV/atom
Calculated total energy ... -78.3 eV for the cell shown



# 2
Here is crystalline Cd2C3 at its relaxed geometry from the Alexandria database. Energies are from GGA-PBE.

Cell: 7.4819 5.8864 8.4197 Å, 60.00 42.95 77.05°
With the nearest neighbours (Å) after each atom.
Sites, in units of the cell vectors:
Cd 0.2655 0.7345 0.3246  3 C 2.20-2.38
Cd 0.5746 0.9254 0.5155  3 C 2.20-2.38
Cd 0.7345 0.2655 0.6754  3 C 2.20-2.38
Cd 0.9254 0.5746 0.9845  3 C 2.20-2.38
C 0.3289 0.6531 0.5862  1 C 1.33
C 0.4783 0.4783 0.5217  2 C 1.33
C 0.6531 0.3289 0.4318  1 C 1.33
C 0.6638 0.8182 0.9211  1 C 1.33
C 0.7283 0.7283 0.7717  2 C 1.33
C 0.8182 0.6638 0.5969  1 C 1.33

Computed properties:
Formation energy from the elements ... 0.875 eV/atom
Crystal system ... orthorhombic
Energy above the lowest structure with this stoichiometry ... 0 meV/atom
Calculated total energy ... -50.2 eV for the cell shown



One value per record, in order, for volume: 201.8; 212.4 Å³/cell.
=====
Worked solution:
# 1
Here is crystalline Na3In3PdO8 at its relaxed geometry from the Alexandria database. Energies are from GGA-PBE.

Cell: 6.6836 6.6836 6.6836 Å, 58.08 58.08 58.08°
With the nearest neighbours (Å) after each atom.
Sites, in units of the cell vectors:
Na 0.0000 0.5000 0.5000  6 O 2.46
Na 0.5000 0.0000 0.5000  6 O 2.46
Na 0.5000 0.5000 0.0000  6 O 2.46
In 0.0000 0.0000 0.5000  6 O 2.21-2.24
In 0.0000 0.5000 0.0000  6 O 2.21-2.24
In 0.5000 0.0000 0.0000  6 O 2.21-2.24
Pd 0.5000 0.5000 0.5000  6 O 2.06
O 0.2375 0.2375 0.2375  3 In 2.21, 3 Na 2.46
O 0.2568 0.7215 0.7215  1 Pd 2.06, 2 In 2.24
O 0.2785 0.2785 0.7432  1 Pd 2.06, 2 In 2.24
O 0.2785 0.7432 0.2785  1 Pd 2.06, 2 In 2.24
O 0.7215 0.2568 0.7215  1 Pd 2.06, 2 In 2.24
O 0.7215 0.7215 0.2568  1 Pd 2.06, 2 In 2.24
O 0.7432 0.2785 0.2785  1 Pd 2.06, 2 In 2.24
O 0.7625 0.7625 0.7625  3 In 2.21, 3 Na 2.46

Computed properties:
Crystal system ... trigonal
ΔE_f (raw) ... -1.415 eV/atom
Calculated total energy ... -78.3 eV for the cell shown



# 2
Here is crystalline Cd2C3 at its relaxed geometry from the Alexandria database. Energies are from GGA-PBE.

Cell: 7.4819 5.8864 8.4197 Å, 60.00 42.95 77.05°
With the nearest neighbours (Å) after each atom.
Sites, in units of the cell vectors:
Cd 0.2655 0.7345 0.3246  3 C 2.20-2.38
Cd 0.5746 0.9254 0.5155  3 C 2.20-2.38
Cd 0.7345 0.2655 0.6754  3 C 2.20-2.38
Cd 0.9254 0.5746 0.9845  3 C 2.20-2.38
C 0.3289 0.6531 0.5862  1 C 1.33
C 0.4783 0.4783 0.5217  2 C 1.33
C 0.6531 0.3289 0.4318  1 C 1.33
C 0.6638 0.8182 0.9211  1 C 1.33
C 0.7283 0.7283 0.7717  2 C 1.33
C 0.8182 0.6638 0.5969  1 C 1.33

Computed properties:
Formation energy from the elements ... 0.875 eV/atom
Crystal system ... orthorhombic
Energy above the lowest structure with this stoichiometry ... 0 meV/atom
Calculated total energy ... -50.2 eV for the cell shown



One value per record, in order, for volume: 201.8; 212.4 Å³/cell.